........
Density functional theory data (ωB97M-V/def2-TZVPD) for a cluster of 2 separate species, C5H10O2 in total.

Results
- E_HOMO (Ha) = -0.3578
- structure (SMILES) = C=C(C)CO.C=O
- gap between HOMO and LUMO (eV) = 10.32
- net charge = 0
- energy relative to the best compared isomer or geometry (same formula, charge and spin) (kcal/mol) = 58.07

Atoms and positions in Å:
C 0.610 -0.686 -1.225
C -0.492 -0.400 -0.536
C -1.160 -1.394 0.380
C -1.113 0.979 -0.546
O -1.040 1.543 0.748
H 1.058 0.037 -1.903
H 1.056 -1.675 -1.171
H -2.095 -1.749 -0.077
H -0.530 -2.272 0.578
H -1.426 -0.920 1.334
H -2.178 0.918 -0.815
H -0.622 1.615 -1.300
H -0.110 1.767 0.890
C 2.008 0.548 0.911
O 1.687 1.707 0.780
H 2.941 0.163 0.469
H 1.407 -0.181 1.483

These are the Mulliken partial charges, in e, on atoms 1 to 5: -1.06 0.82 -1.26 -0.64 -0.55

* * * * *

ORCA calculation (ωB97M-V with the def2-TZVPD basis set) on a molecular structure, C35H35Cl3CoN4O8S at a distorted geometry.

Geometry as XYZ:
```
87
Properties=species:S:1:pos:R:3:forces:R:3
Co -15.249621 14.135827 -4.387580 0.4 -0.3 -0.4
C -11.861380 14.858922 -9.640304 1.3 0.0 1.6
O -10.897265 14.738871 -8.524682 -0.4 0.2 -1.3
C -11.259963 14.214936 -7.331742 -0.3 0.1 -0.4
C -10.305603 14.350364 -6.302931 -1.8 -1.3 0.9
C -10.739613 13.904022 -5.046806 -0.7 0.1 -1.1
C -12.074164 13.408676 -4.756891 1.8 0.3 -2.5
C -12.466984 13.056785 -3.451248 -0.3 0.0 0.0
C -11.514843 13.110047 -2.333465 -0.5 1.7 1.9
O -13.617856 12.744647 -3.183964 -1.1 -0.3 0.2
C -12.949772 13.226909 -5.886536 -0.7 0.7 0.7
O -14.202702 12.885665 -5.842321 -0.2 0.0 0.7
C -12.489862 13.638055 -7.133135 0.9 0.1 -1.0
H -11.320420 15.533813 -10.309986 -0.4 -0.4 -0.1
H -12.784125 15.313170 -9.292089 -0.1 0.2 0.1
H -12.083309 13.878716 -10.059392 0.2 0.0 -0.2
H -9.333745 14.678304 -6.596181 0.5 0.3 0.4
H -10.031685 13.992267 -4.258336 0.3 0.0 0.7
H -11.245828 14.202167 -2.139609 -0.1 -1.4 -0.3
H -10.650010 12.500402 -2.442248 0.8 -0.4 -0.1
H -12.134675 12.783585 -1.480838 0.6 0.1 -0.1
H -13.172246 13.553079 -7.964733 -0.1 0.0 -0.1
O -17.712601 18.709545 -7.983498 1.1 -0.9 -0.1
C -16.816479 17.807068 -8.413752 -0.1 0.6 -2.3
O -16.240259 17.906634 -9.519338 -1.2 0.2 2.4
C -16.594321 16.578258 -7.622530 0.2 0.3 0.4
C -15.790888 15.568894 -8.113582 0.2 0.2 -0.4
N -15.709342 14.637603 -7.194212 -0.1 -1.1 1.2
N -16.377338 14.963650 -6.062857 0.2 0.2 -0.5
C -16.923446 16.160720 -6.309774 0.3 -1.0 -0.7
C -17.784221 16.795178 -5.289309 0.0 0.1 0.9
O -18.380721 17.831728 -5.664916 -0.3 0.2 0.3
O -17.803019 16.248245 -4.158449 -0.2 0.4 -0.6
H -18.031637 18.429700 -7.052642 0.1 -0.1 -0.2
H -15.210806 15.490938 -9.011880 -0.2 0.1 -0.3
H -15.152117 13.764152 -7.117416 0.0 0.4 0.0
Cl -24.056900 18.473383 -3.333328 0.3 -0.2 0.3
C -22.681831 17.656041 -2.611723 0.4 0.3 -0.4
C -21.420352 17.826145 -3.167813 -0.6 0.6 0.2
C -20.328326 17.159569 -2.652783 0.9 -0.5 -1.0
C -20.480884 16.270604 -1.607264 -1.2 0.0 0.8
C -19.276380 15.461380 -1.274353 1.1 -0.4 1.5
C -19.388834 13.916878 -1.224682 -2.4 -0.2 -0.4
N -18.296193 13.208093 -1.858095 0.9 -0.1 1.3
C -17.359492 12.402153 -1.219630 0.5 0.4 -1.5
C -16.307416 12.286792 -2.082041 1.7 -1.4 1.0
N -16.535935 12.994409 -3.199191 -1.7 1.3 -0.5
C -17.749593 13.539788 -3.012633 1.1 -0.1 -1.7
O -18.665780 15.974980 -0.051004 0.6 -0.6 -1.1
C -17.223392 15.810763 -0.069999 -0.6 1.8 0.4
C -16.767940 14.862847 0.986939 -0.2 -1.4 1.2
C -15.469465 14.546089 1.222882 0.2 -0.2 0.6
Cl -14.120377 15.279113 0.431955 -0.2 -0.4 0.1
S -15.259251 13.415461 2.564588 0.6 0.7 -0.6
C -16.932416 13.397668 2.862968 -0.7 -0.1 -0.5
C -17.608407 14.143911 1.959818 -0.9 1.1 -1.4
C -21.748365 16.229809 -0.980351 1.4 -1.3 0.1
Cl -21.949334 15.157591 0.432952 0.0 0.5 -0.6
C -22.849611 16.858053 -1.495928 -0.7 0.2 0.6
H -21.284071 18.524890 -3.966906 0.0 0.1 -0.5
H -19.333619 17.162546 -3.194075 -1.2 0.3 0.6
H -18.631339 15.657281 -2.113369 0.6 0.2 -0.2
H -20.308386 13.673004 -1.785064 0.3 0.0 0.0
H -19.623088 13.494659 -0.233333 0.7 0.4 -0.3
........

It remains to start at the top of the notes earlier on and restate each line, ending with the one that has "-0.1 1.3".

Density functional theory data (ωB97M-V/def2-TZVPD) for a cluster of 2 separate species, C5H10O2 in total.

Results
- E_HOMO (Ha) = -0.3578
- structure (SMILES) = C=C(C)CO.C=O
- gap between HOMO and LUMO (eV) = 10.32
- net charge = 0
- energy relative to the best compared isomer or geometry (same formula, charge and spin) (kcal/mol) = 58.07

Atoms and positions in Å:
C 0.610 -0.686 -1.225
C -0.492 -0.400 -0.536
C -1.160 -1.394 0.380
C -1.113 0.979 -0.546
O -1.040 1.543 0.748
H 1.058 0.037 -1.903
H 1.056 -1.675 -1.171
H -2.095 -1.749 -0.077
H -0.530 -2.272 0.578
H -1.426 -0.920 1.334
H -2.178 0.918 -0.815
H -0.622 1.615 -1.300
H -0.110 1.767 0.890
C 2.008 0.548 0.911
O 1.687 1.707 0.780
H 2.941 0.163 0.469
H 1.407 -0.181 1.483

These are the Mulliken partial charges, in e, on atoms 1 to 5: -1.06 0.82 -1.26 -0.64 -0.55

* * * * *

ORCA calculation (ωB97M-V with the def2-TZVPD basis set) on a molecular structure, C35H35Cl3CoN4O8S at a distorted geometry.

Geometry as XYZ:
```
87
Properties=species:S:1:pos:R:3:forces:R:3
Co -15.249621 14.135827 -4.387580 0.4 -0.3 -0.4
C -11.861380 14.858922 -9.640304 1.3 0.0 1.6
O -10.897265 14.738871 -8.524682 -0.4 0.2 -1.3
C -11.259963 14.214936 -7.331742 -0.3 0.1 -0.4
C -10.305603 14.350364 -6.302931 -1.8 -1.3 0.9
C -10.739613 13.904022 -5.046806 -0.7 0.1 -1.1
C -12.074164 13.408676 -4.756891 1.8 0.3 -2.5
C -12.466984 13.056785 -3.451248 -0.3 0.0 0.0
C -11.514843 13.110047 -2.333465 -0.5 1.7 1.9
O -13.617856 12.744647 -3.183964 -1.1 -0.3 0.2
C -12.949772 13.226909 -5.886536 -0.7 0.7 0.7
O -14.202702 12.885665 -5.842321 -0.2 0.0 0.7
C -12.489862 13.638055 -7.133135 0.9 0.1 -1.0
H -11.320420 15.533813 -10.309986 -0.4 -0.4 -0.1
H -12.784125 15.313170 -9.292089 -0.1 0.2 0.1
H -12.083309 13.878716 -10.059392 0.2 0.0 -0.2
H -9.333745 14.678304 -6.596181 0.5 0.3 0.4
H -10.031685 13.992267 -4.258336 0.3 0.0 0.7
H -11.245828 14.202167 -2.139609 -0.1 -1.4 -0.3
H -10.650010 12.500402 -2.442248 0.8 -0.4 -0.1
H -12.134675 12.783585 -1.480838 0.6 0.1 -0.1
H -13.172246 13.553079 -7.964733 -0.1 0.0 -0.1
O -17.712601 18.709545 -7.983498 1.1 -0.9 -0.1
C -16.816479 17.807068 -8.413752 -0.1 0.6 -2.3
O -16.240259 17.906634 -9.519338 -1.2 0.2 2.4
C -16.594321 16.578258 -7.622530 0.2 0.3 0.4
C -15.790888 15.568894 -8.113582 0.2 0.2 -0.4
N -15.709342 14.637603 -7.194212 -0.1 -1.1 1.2
N -16.377338 14.963650 -6.062857 0.2 0.2 -0.5
C -16.923446 16.160720 -6.309774 0.3 -1.0 -0.7
C -17.784221 16.795178 -5.289309 0.0 0.1 0.9
O -18.380721 17.831728 -5.664916 -0.3 0.2 0.3
O -17.803019 16.248245 -4.158449 -0.2 0.4 -0.6
H -18.031637 18.429700 -7.052642 0.1 -0.1 -0.2
H -15.210806 15.490938 -9.011880 -0.2 0.1 -0.3
H -15.152117 13.764152 -7.117416 0.0 0.4 0.0
Cl -24.056900 18.473383 -3.333328 0.3 -0.2 0.3
C -22.681831 17.656041 -2.611723 0.4 0.3 -0.4
C -21.420352 17.826145 -3.167813 -0.6 0.6 0.2
C -20.328326 17.159569 -2.652783 0.9 -0.5 -1.0
C -20.480884 16.270604 -1.607264 -1.2 0.0 0.8
C -19.276380 15.461380 -1.274353 1.1 -0.4 1.5
C -19.388834 13.916878 -1.224682 -2.4 -0.2 -0.4
N -18.296193 13.208093 -1.858095 0.9 -0.1 1.3